Christian, It’s OK to Be Sad


Jesus wept

Jesus wept.
—John 11:35 ESV

Lazarus, a friend of Jesus, had died, and Jesus felt the pain.

Jesus knew Lazarus would rise again soon. He knew the man’s two sisters would rejoice at that resurrection. Yet Jesus wept anyway. Sadness gripped Him in that moment despite all He knew was to come.

We Christians know we have a heavenly Kingdom awaiting us. We know every tear will be wiped away. We know we will live eternally in the presence of the Lord. We know the joy will last forever.

Christian, in this world, it’s OK to be sad.

We all know believers who go around perpetually cheerful, even in those situations when it is better to weep than smile. Frankly, those people are a scourge. They are positive thinkers rather than true believers. They’ve bought into a Pollyanna mentality that the Scriptures do not support.

Sorrow is better than laughter, for by sadness of face the heart is made glad.
—Ecclesiastes 7:3 ESV

I dare any mentally healthy person to find anything good to say about a child dying. Who can go around cheery when a family member makes damaging choices again and again? What good can be found when a lifelong dream dies? Or when that hopeful union dissolves in tears and anger?

In this world, it’s OK to be sad. Don’t let anyone tell you otherwise.

Devout men buried Stephen and made great lamentation over him.
—Acts 8:2 ESV

Today, we rush to medicate people so they will not be forced to deal with sadness. We prefer the daze to sober reality. Escape over truth. To “make great lamentation” over anything is seen as problematic.

This downplaying of sadness is a frightening trend though.

Something in sadness restores a sober view of life. It forces us to confront pain and grow through it. When I look at the lives of the greatest believers I have known, the most distinguishing mark is their fidelity to Christ in the midst of overwhelming personal sadness. Whatever their experience might of been, they came out of it stronger, wiser, better. And because of their journey, they could impart a wisdom gained only by facing sadness and making it a part of their life.

Where we go wrong today in dealing with sadness is by not only medicating our sadness but also allowing it to become an idol in our lives. I wonder if our attempts to rid ourselves of sadness only perpetuates its stay. Better to walk through it with eyes wide open than to sleepwalk into the midst of it and then camp there.

What distinguishes the Christian response to sadness from the world’s is that Christians, by gaining Christ, have gained hope.

Depression is the scourge of our age. While some people suffer through it because of chemical imbalances, I believe we become depressed when we enthrone sadness. That idol not only changes the way we think, it rewires our brains physically. It’s as if sadness takes up residence by making our brains its home, remodeling the dwelling to suit its needs.

The hope we have in Christ wars against the idol of abiding sadness. It is OK to be sad, but like so much in life, we cannot let that feeling own us, because it will if we let it.

Don’t let anyone tell you it’s not OK to be sad.

But don’t let sadness make you its dwelling place either.

We have our own, better Dwelling Place and a mansion in Glory awaiting us. Sadness won’t last forever. Hope is ours always. Embrace it.

But this I call to mind, and therefore I have hope: The steadfast love of the LORD never ceases; his mercies never come to an end; they are new every morning; great is your faithfulness. “The LORD is my portion,” says my soul, “therefore I will hope in him.” The LORD is good to those who wait for him, to the soul who seeks him. It is good that one should wait quietly for the salvation of the LORD. It is good for a man that he bear the yoke in his youth. Let him sit alone in silence when it is laid on him; let him put his mouth in the dust– there may yet be hope; let him give his cheek to the one who strikes, and let him be filled with insults. For the Lord will not cast off forever, but, though he cause grief, he will have compassion according to the abundance of his steadfast love; for he does not afflict from his heart or grieve the children of men.
—Lamentations 3:21-33 ESV

A Vacuum Abhored: How All Beliefs are Religious


From time to time I write opposition posts to some of Al Mohler’s blog posts. This is not because I fundamentally disagree with Mohler on core doctrine, only that I think he sometimes cares more about preserving the status quo than taking the boldest steps.

You’ll get no arguments from me on his recent post “Of Babies and Beans? A Frightening Denial of Human Dignity” in which he responds to Adam Gopnik’s “Of Babies and Beans: Paul Ryan on Abortion.”

[Quantum chemistry results that have nothing to do with the entry]
-- begin --
21
Properties=species:S:1:pos:R:3 method="wB97M-V/def2-TZVPD" orbital_gap_ha=0.19562 mol_weight_g_mol=810.21 homo_ha=-0.044 e_above_lowest_ev=0.116 total_charge=-2
Sn 0.08 -0.78 -0.16
O -2.23 4.37 3.30
C -2.00 3.19 2.64
C -2.02 1.97 3.29
C -1.76 0.82 2.57
N -1.49 0.86 1.27
C -1.48 2.03 0.64
C -1.73 3.24 1.28
C -1.14 2.02 -0.84
O -1.41 3.01 -1.51
O -0.57 0.95 -1.28
C -1.79 -0.56 3.29
O -2.32 -0.53 4.43
O -1.28 -1.50 2.66
H -2.40 4.15 4.22
H -2.26 1.87 4.35
H -1.72 4.16 0.72
Te 2.72 -0.92 -1.56
Te 2.50 -1.58 -4.16
Te 0.47 -3.42 -4.12
Te -1.11 -2.68 -2.04

---

22
Properties=species:S:1:pos:R:3 method="wB97M-V/def2-TZVPD" orbital_gap_ha=0.21891 mol_weight_g_mol=136.24 homo_ha=-0.090 e_above_lowest_ev=2.700 total_charge=-1
C -1.77 -1.10 -1.22
N -0.58 -0.38 -0.89
C -0.83 1.05 -0.50
C 0.19 1.76 0.38
S -0.32 1.48 2.18
C -1.61 -2.59 -0.78
C -0.30 -3.34 -1.19
H -1.98 -0.80 -2.37
H -2.51 -0.62 -0.58
H 0.17 -0.81 -0.33
H -1.79 1.19 -0.28
H -0.87 1.60 -1.49
H 1.27 1.49 0.17
H -0.05 2.86 0.19
H -2.59 -3.09 -1.10
H -1.66 -2.52 0.28
H 0.64 -3.13 -0.70
H -0.45 -4.32 -1.09
H -0.02 -3.07 -2.28
H 3.84 1.27 0.48
H 4.51 2.21 -0.50
O 4.58 1.52 0.11

---

67
Properties=species:S:1:pos:R:3 method="wB97M-V/def2-TZVPD" orbital_gap_ha=0.36647 smiles="CO[C@@H](CCC(F)(F)C(F)(F)C(F)(F)C(F)(F)C(F)(F)C(F)(F)F)[C@@H](CC(C)C)OCCC(=O)O.CCO" mol_weight_g_mol=596.42 homo_ha=-0.348
C 2.17 -0.23 0.99
O 2.27 1.04 0.35
C 1.03 1.61 0.02
C 0.26 0.81 -1.02
C -0.85 1.62 -1.70
C -0.87 1.44 -3.19
F 0.32 1.77 -3.74
F -1.79 2.27 -3.74
C -1.26 -0.03 -3.60
F -1.74 -0.68 -2.50
F -2.26 0.00 -4.51
C -0.11 -0.87 -4.19
F 0.12 -0.43 -5.45
F 1.02 -0.74 -3.48
C -0.44 -2.40 -4.24
F 0.25 -2.93 -5.28
F -1.74 -2.62 -4.44
C 0.02 -3.12 -2.94
F -0.21 -2.35 -1.86
F 1.34 -3.39 -3.03
C -0.70 -4.47 -2.68
F -0.09 -5.02 -1.59
F -0.61 -5.30 -3.73
F -2.00 -4.27 -2.36
C 0.18 1.93 1.27
C -0.11 3.41 1.40
C 1.19 4.15 1.79
C 1.31 4.24 3.33
C 1.25 5.52 1.13
O -0.96 1.10 1.21
C -1.81 1.10 2.34
C -2.05 -0.35 2.74
C -2.21 -1.22 1.53
O -1.53 -2.21 1.34
O -3.16 -0.84 0.66
H 2.77 -0.95 0.43
H 1.16 -0.60 1.07
H 2.62 -0.16 1.98
H 1.27 2.56 -0.46
H 1.00 0.55 -1.77
H -0.13 -0.10 -0.59
H -1.80 1.36 -1.27
H -0.70 2.67 -1.49
H 0.80 1.64 2.13
H -0.46 3.83 0.46
H -0.85 3.63 2.16
H 2.05 3.59 1.46
H 1.59 5.24 3.64
H 0.40 3.97 3.84
H 2.09 3.57 3.68
H 0.27 6.00 1.08
H 1.91 6.19 1.67
H 1.60 5.41 0.11
H -2.75 1.57 2.08
H -1.36 1.61 3.19
H -2.93 -0.40 3.37
H -1.18 -0.72 3.25
H -3.04 -1.41 -0.10
C 0.90 -4.99 1.73
C 1.45 -3.86 2.59
O 1.06 -2.58 2.10
H 1.23 -4.87 0.70
H 1.22 -5.96 2.10
H -0.19 -4.97 1.73
H 2.54 -3.88 2.57
H 1.12 -3.98 3.63
H 0.10 -2.54 2.12

---

48
Properties=species:S:1:pos:R:3 method="wB97M-V/def2-TZVPD" orbital_gap_ha=0.30207 smiles=COc1ccc2[nH]c(C(O)(Cc3cccnc3)Cc3cccnc3)cc2c1 mol_weight_g_mol=359.43 homo_ha=-0.282 e_above_lowest_ev=1.487
C -7.91 -0.12 0.36
O -6.69 -0.46 0.96
C -5.53 -0.13 0.31
C -5.48 0.52 -0.93
C -4.28 0.82 -1.54
C -3.11 0.46 -0.89
N -1.80 0.62 -1.24
C -1.00 0.10 -0.26
C 0.50 0.15 -0.39
O 0.77 0.82 -1.61
-- stop --
[The entry goes on]

You’d do well to read both, but Mohler’s post hits the lowlights of the Gopnik piece, key of which is this statement from Gopnik:

“Paul Ryan did not say, as John Kennedy had said before him, that faith was faith and public service, public service, each to be honored and kept separate from the other. No, he said instead ‘I don’t see how a person can separate their public life from their private life or from their faith. Our faith informs us in everything we do.’ That’s a shocking answer—a mullah’s answer, what those scary Iranian “Ayatollahs” he kept referring to when talking about Iran would say as well. Ryan was rejecting secularism itself, casually insisting, as the Roman Catholic Andrew Sullivan put it, that ‘the usual necessary distinction between politics and religion, between state and church, cannot and should not exist.’”

With all due respect to Gopnik and the late president, nothing could be more intellectually dishonest than to insist that one’s religious faith cannot—and should not—inform one’s politics.

The contention that any human being can wall off ANY thoughts in such a way that they have no bearing on some other area of life is absurd. In a way, it’s the old reporter’s lie of objectivity. No journalist is objective. It is simply impossible to prevent any aspect of one’s opinion from coloring writing. As a writer, I know this.

What is even more baffling is the idea that political thought should be immune from ideological taint.  In truth, politics is nothing BUT ideological taint. Remove ideology from politics and there is nothing left. No laws, no ideas, no action. All are driven by one’s beliefs, and those beliefs must come from somewhere.

No lie has been foisted off on the American people more insidiously than the idea that religious beliefs can have no bearing on “pure” political thought.

Fact is, ALL thought can be classified under religious thought if we understand religion to be a system of thought and action that informs how we live. Nothing is more true than the reality that atheism is as much a religion as Christianity or Judaism is.

To think otherwise is the common delusion of scientists. Many who condemn religious thought themselves frame their world in the same manner that religious people do. They have chosen science as their religion.

Many Creationist vs. Scientist battles descend into this morass of battling religions. The Creationist may battle from a Judeo-Christian perspective that God is the source of life on earth, only to elicit scoffs from the scientist who instead believes that ancient astronauts from another galaxy seeded life here on earth.

Who is the religionist here? Given the pitched battle, how can anyone insist the Creationist position is solely the religious one?

And so it is with all thought. Whether it is a belief in God or a trust that gravity will keep us tethered to earth, “religion” or “science,” our beliefs inform everything we do. Whether thoughts on photosynthesis or on the nature of the Trinity of God, these thoughts are a collective philosophy that can’t be separated into components parts. To the individual, the framework is unified and must be accepted for what it is. A rational critic can make no other assertion.

But then we have the irrational shoutings of those who think that religious thought must never inform any part of life outside of a church meeting, a belief they hold with religious fervor.

No sacred/secular divide exists. To insist on one is to thrust us into denial and back to the Dark Ages.

If Paul Ryan considers abortion wrong because of God’s voice written down by the Apostle Paul, that is no less valid political thought than Adam Gopnik thinking otherwise because of Margaret Sanger’s voice written down by Gloria Steinem.

If anything, the real threat to life in America is not from those people who listen to religious voices. Rather it is from those who listen to the voices of men and then insist those voices are on par with God’s, yet all the while claiming their voice isn’t equally religious.

Someone sits on the throne of your life and mine. And honoring that someone is the essence of religion, no matter how much we may insist otherwise.

Why Christians Cannot Be “Values Voters”


Casting a voteWe have another American election coming soon. If you are a Christian, you are probably well aware of the “this is the most important election in the history of our country” mantra of fear that gets trotted out by various Christian groups every election cycle. We will certainly hear a verse shared most often today in conjunction with politics, 2nd Chronicles 7:14. We will hear about Judeo-Christian values and saving them from whichever evil political party is deemed most diabolical at this time.

“We have to preserve our way of life! If we don’t, what will happen to our nation?”

There’s a problem with that line of thinking though: It’s the same belief and chant that resulted in Jesus’ crucifixion. The Pharisees were the “values voters” of their day.

The problem with voting values is that values exist in a vacuum. Whose values? Which values? In Christian circles, we hear typically that stopping abortion, halting same-sex marriage, and safeguarding religious freedom are the top three. I will not dispute that those are valuable and worthwhile issues to address. However, the Bible speaks far more often and more boldly about economic justice, yet evangelical Christians balk at talking about economic justice because fixing that problem would probably disrupt our personal little kingdoms. Love for the “alien” and “sojourner” is also mentioned repeatedly in the Scriptures, but that’s not a value most of us consider at the voting booth.

Values change too. Remember that ridding our country of “demon alcohol” was once the most important value the American Church held dear.

Here’s the essence of this post…

These are the two most important questions of life:

Who is God?

How can He be known?

As Christians, the Bible is our book, and it exists to answer those two questions. We as Christians are to embody the answers to those two questions. And as the embodiment of those answers, we are to align everything in our lives to presenting those answers always and in everything we think, say, and do. Our lives are intended from the second we are justified by faith in Christ to be the living response to the two most important questions of life.

Think about that. Then think how we are to live as a result.

Politics is a nasty business. In a democratic republic, we Americans are given some say in our government. For those of us Americans who are Christians, our participation in that government must reflect the answers to the two questions. We are not allowed to answer falsely or to hedge our bets. The answers to the questions cannot be compromised because what is at stake is the truth about the character of God and His revelation.

Nothing the Christian does should question the character of God because no “value” matters more. All answers in life proceed from who God is. Our response to any predicament or issue always must come from who God is is and how He can be known.

This is how we live. And this should be how we vote.

I wrote that the Pharisees were “values voters.” Recall how they were unable to properly answer the question of who God is and how He can be known. This is the failure of values voting. It can’t work back from the “answers” depicted by the “values vote” and determine the truth of who God is and how He can be known. For this reason, Christians can’t vote based on values.

But people try. And this is how we end up with the political mess we find ourselves in.

Yet if we are to move beyond ever-changing values voting then we must always vote with the answers to the two essential questions in mind. They must inform everything we think, say, and do.

How then can we support any politician who distorts who God is and how He can be known?

How then can we support any politician who answers the two questions with lies in both word and practice?

Our task as believers is to reflect the answers of who God is and how He can be known in every aspect of life, including voting.  If we don’t do this, then we send a confused, broken, and destructive set of answers to a world dying for truth.

God has not given us a spirit of fear, has He? And yet we vote out of fear, not out of answering the two questions. We are fearful over the loss of values, but never over the loss of proper answers to the two questions. This is grossly wrong.

As Christians, we are to vote for those people who can answer the two questions properly in both word and practice. Anything else is not of faith and not of truth. God puts few burdens on us, but properly dealing with the two questions is one of those “burdens.”

But here’s the thing: God is in control of the outcome. He asks us to boldly uphold the answers to the two question and then trust Him to handle whatever the outcome of doing so will be. We should never fear to answer those two question boldly and without regrets.

What if this means that in answering the two questions of life boldly and without regrets we vote for a political candidate who answers the two questions correctly but who will certainly lose the election? Well, that may be what is asked of us by God, because answering the two questions properly is what we are about—always.

Do we truly trust God for election outcomes? Does He not say that He is the one who raises up and tears down a nation’s leaders? Do we believe that He knows what is best? If we do the right thing and vote for upholders of the proper answers to the two questions, and those candidates lose, have we not done what God has asked of us? If the “wrong” candidate makes it into office, are we to judge God because He asked of us one crucial thing and now we have regrets over His sovereignty? Are we that faithless?

We Christians say we want things to change in our country. Voting values, for all intents and purposes, has been a miserable failure at changing anything. It was always doomed though. Unless we vote according to the answers to “Who is God?” and “How can He be known?”we will never change anything.